

Study of Emotional Design of Industrial Instrument and Meter

【作者】 张一杨

【导师】 刘国余; 赵佐良;

【作者基本信息】 上海交通大学 , 工业设计, 2007, 硕士

【摘要】 科学技术与社会经济文化的发展奠定了时代的物质基础,物质上的富足使人们更加注重自我的情感需求;随着新设计哲学的兴起,产品设计日趋多元化,以充分重视人的内心情感需求和精神需要为基础的情感化设计已成为一种新的设计思潮。因此,如何深入理解情感化设计基本理论,在现代产品设计中导入情感化设计思想,已成为当今产品设计亟待解决的问题。本文选取工业类仪器仪表这种特定产品,作为具体导入情感化设计思想的研究对象,工业类仪器仪表是指应用于工业化生产及科学研究领域的专业化仪器仪表,一般为生产单位及科研机构所使用,专业性较强,主要包括通用分析仪器,实验室常用设备,行业专用仪器,工控仪表,传感器等。由于此类产品在用途,市场,针对用户的独特性,生产商往往过于注重实用,而忽略了设计上的情感化。长久以来,工业类仪器仪表造型以及人机互动的缺乏情感似乎被默认形成了一种约定俗成的风格,成为了凸现其专业化的代价。本文从哲学、科技、经济文化和社会心理学等方面探讨了情感化设计的必然性,从商业应用和理论发展两方面论述情感化设计的发展现状。通过对情感、情感化产品和情感化设计等概念及理论的解析,阐述了情感化设计与审美、人性化、个性化和时尚的关系,并对诺曼教授的情感化设计层次划分展开深入分析。最后分析国内工业类仪器仪表的现状、特点,找出仪器仪表情感化设计的切入点;并通过一系列经典设计案例的比较分析,归纳出仪器仪表情感化设计的基本表现类型,从形态角度提出了仪器仪表情感化设计的一般方法,用以指导国内仪器仪表设计。本课题的研究结果对国内仪器仪表的情感化设计具有一定的现实指导意义,对其他类型的产品导入情感化设计思想也具有相应的参考价值,为后续研究提供了可能性。

What comes next are data records, not part of the entry >
Computed, not measured: a structure of composition C35H40AlGeIN2PS3Se, with ωB97M-V/def2-TZVPD.

Results
- Kohn-Sham gap (eV) = 6.6
- strongest force on any atom (eV/Å) = 1.06
- ΔE to the lowest compared entry with this formula, charge and spin (kcal per mole) = 58.5
- charge = +1
- HOMO energy (eV) = -9.4
- E (Eh) = -8021.51394

The geometry in XYZ format:
```
85
Properties=species:S:1:pos:R:3:forces:R:3
I 4.1409 -0.9280 0.7645 0.3 0.2 0.1
Se -1.0722 -1.9608 -2.7064 -0.1 -0.1 -0.6
Ge -4.0940 -1.6678 -3.9270 0.1 0.0 0.3
S 2.4223 -1.8989 -2.4044 0.0 0.2 0.4
S -0.2915 -1.2155 -0.0235 0.1 0.3 1.0
S 2.1412 1.4632 -1.9467 0.0 -0.3 0.0
P 1.2697 0.7456 1.3382 -0.3 -0.1 0.6
Al 1.6617 -0.4285 -0.9140 -0.1 0.2 -0.2
N -2.4209 -2.3087 1.9302 0.0 0.0 0.0
N -3.5489 -0.3184 1.9818 -0.1 0.1 0.0
C 0.8449 -1.7714 2.4367 0.0 -0.3 0.3
C 2.1823 1.2291 2.8583 0.0 0.0 -0.2
C -1.7781 3.2782 0.1990 0.0 0.0 0.0
C -3.2648 -0.3745 -5.1457 -0.1 -0.1 0.1
C -0.0150 4.6239 1.1033 0.0 0.1 0.0
C 3.3198 2.7064 4.9465 -0.1 0.0 0.0
C 4.5624 0.6963 2.0793 0.0 -0.3 -0.4
C -1.1912 -0.2700 2.5535 0.1 -0.3 0.1
C -5.9029 -1.0999 -3.3774 0.2 -0.1 -0.2
C -4.8629 -0.9017 1.7573 0.0 -0.1 0.0
C 0.5707 -2.2398 3.6610 0.2 0.1 -0.2
C 6.4029 1.8663 3.1006 0.0 0.1 0.1
C 1.4157 1.7511 3.8756 0.1 -0.2 -0.1
C 4.0880 -1.1602 -4.4124 0.0 0.0 0.0
C 4.1638 2.1551 3.9566 -0.1 -0.1 -0.1
C 0.2128 2.2184 1.0749 0.0 0.0 -0.2
C 5.5518 2.4164 4.0102 0.2 0.0 0.0
C -1.1666 -0.5900 4.0439 0.1 0.1 0.1
C 0.1076 -0.6480 1.8067 -0.2 0.0 -0.8
C -4.0899 -3.4885 -4.6702 0.0 0.3 0.0
C 3.6092 1.3312 2.9234 0.1 0.1 0.2
C -2.4293 -1.0013 2.0789 0.0 0.1 0.0
C 3.1457 0.7005 -3.2042 0.0 0.1 0.0
C -2.9631 -1.6717 -2.2789 0.1 0.0 -0.2
C -1.0272 2.1351 0.4349 0.0 0.0 0.0
C 5.9013 0.9678 2.1462 -0.1 -0.1 0.0
C 0.7209 3.4832 1.3791 0.0 -0.1 0.0
C 3.8432 1.5626 -4.0496 0.0 0.0 -0.1
C 1.9781 2.4642 4.9414 0.0 0.1 0.2
C -0.9718 -3.8575 -2.3108 -0.1 0.2 0.0
C -0.3786 -1.5501 4.5216 -0.1 0.2 0.1
C 4.7612 -0.2938 -5.2543 0.0 -0.1 0.0
C -1.2789 4.5254 0.5409 0.0 0.0 0.0
C 4.6376 1.0762 -5.0718 0.0 0.0 0.0
C 3.2726 -0.6825 -3.3869 0.0 -0.1 0.0
H -3.2507 -2.4303 -1.5478 -0.1 0.0 0.0
H 3.7411 2.6297 -3.8987 0.0 0.0 0.0
H -3.0021 -0.6936 -1.7931 0.0 0.0 0.0
H 0.0119 -4.1873 -2.6358 0.0 0.0 0.0
H -2.1886 -0.5406 -5.1794 0.0 0.0 0.0
H -6.3522 -1.8174 -2.6906 0.0 0.0 0.0
H -3.0687 -3.7978 -4.8939 0.0 0.0 0.0
H 0.3388 1.6505 3.8340 0.0 0.1 0.0
H 1.3434 2.8629 5.7214 0.0 0.0 0.0
H -5.1470 -1.5432 2.5938 0.0 0.0 0.0
H -3.6576 -0.4727 -6.1571 0.0 0.0 0.0
H 5.3792 -0.6913 -6.0483 0.0 0.0 0.0
H 6.5901 0.4623 1.4833 0.0 0.0 0.0
H -1.8619 5.4172 0.3534 0.0 0.0 0.0
H -1.3992 1.1769 0.0950 0.0 0.0 0.0
H -5.5899 -0.1004 1.6753 0.0 0.0 0.0
H 0.4003 5.5958 1.3347 0.0 0.0 0.0
H -4.6625 -3.5135 -5.5972 0.0 0.0 0.0
H -5.8720 -0.1221 -2.8963 0.0 0.0 0.0
H -4.8785 -1.4775 0.8302 0.0 0.0 0.0
H -1.8559 -0.0388 4.6722 0.0 0.0 0.1
H 3.7625 3.3294 5.7135 0.0 0.0 0.0
H 5.1595 1.7671 -5.7205 0.0 0.0 0.0
H -1.5293 -2.7833 1.9086 0.0 0.0 0.0
So much for the data records >

【Abstract】 The development of scientific technology and social economy and culture lays the material basis for the society. People start to attach more importance to the emotional need of them while the abundance in material is realized. With the emergence of new design philosophy and polarization in product design with each passing day, emotional design, which focuses on the internal emotional need and spiritual need of human being has become a new design trend. Therefore, deep exploration of the basic theory of emotional design and introduction of emotional design thoughts into the design of modern products have been considered as issues requiring urgent resolution in modern product design.In this article, the necessity of emotional design is discussed in the aspects of philosophy, scientific technology, economy, culture and social psychology. The development status of emotional design is described in both commercial application and theoretical development. The relationship among emotional design and aesthetic appreciation, humanization, individuation and fashion is expatiated on while the structural classification of emotional design of Doctor Norman is deeply analyzed through analysis of concepts and theories such as emotion, emotional product and emotional design. Finally, the current status and feature of domestic industrial instrument and meter is analyzed for the breakthrough point of emotional design of instrument and meter. Meanwhile, the basic form and the general means for emotional design of instrument and meter is concluded from the angle of shape through comparison and analysis of a series of classic design cases as the guidance for design of instrument and meter. Furthermore, it also presents reference value for introduction of emotional design thoughts to other types of products, which provides possibility for successive research.

=====
ORCA calculation (ωB97M-V/def2-TZVPD) on a structure of composition C35H45AsGeN2O7Si3V.

Properties
Multiplicity: 2
Largest force on an atom (Eh/bohr): 0.013
Energy (eV): -221011.8410
Energy relative to the best compared isomer or geometry (same formula, charge and spin) (eV): 0.000

XYZ file:
```
95
Properties=species:S:1:pos:R:3:lowdin_spin:R:1
V -0.07 0.33 -0.34 1.432
O 2.11 3.37 1.01 0.006
C 1.19 2.67 0.67 0.003
O 1.34 1.39 0.34 0.007
C -0.23 3.20 0.69 -0.001
C -0.48 4.22 1.60 0.000
C -1.75 4.73 1.75 -0.001
C -2.82 4.25 1.01 0.001
C -2.58 3.23 0.12 -0.001
C -1.29 2.69 -0.09 0.006
O -1.11 1.76 -1.02 0.019
N -3.74 2.67 -0.57 0.000
O -4.60 3.45 -0.94 0.000
O -3.79 1.46 -0.72 -0.001
N -2.01 5.74 2.78 0.000
O -3.15 6.12 2.92 0.000
O -1.07 6.09 3.47 0.000
H 0.34 4.60 2.19 0.000
H -3.82 4.64 1.14 0.000
C 2.59 -0.96 -5.11 -0.001
Si 2.01 0.06 -3.65 -0.001
C 3.48 0.73 -2.69 0.000
C 0.89 1.44 -4.22 0.000
As 0.78 -1.24 -2.11 0.002
Si 2.22 -2.83 -1.11 0.001
C 3.42 -1.84 -0.08 0.000
C 3.10 -3.80 -2.45 0.000
C 1.21 -3.98 -0.03 -0.003
Si -1.15 -2.14 -3.14 0.004
C -2.22 -0.66 -3.53 0.001
C -0.68 -3.06 -4.70 0.001
C -2.01 -3.26 -1.92 -0.001
H 3.18 -0.32 -5.77 0.000
H 1.76 -1.35 -5.69 0.000
H 3.22 -1.79 -4.81 0.000
H 3.92 1.56 -3.25 0.000
H 4.25 -0.04 -2.57 0.000
H 3.20 1.09 -1.70 0.000
H 1.49 2.23 -4.68 0.000
H 0.32 1.88 -3.40 0.000
H 0.18 1.09 -4.97 0.000
H 4.20 -1.39 -0.69 0.000
H 3.90 -2.50 0.65 0.000
H 2.93 -1.05 0.48 0.000
H 3.85 -3.18 -2.95 0.000
H 2.42 -4.20 -3.20 0.000
H 3.63 -4.64 -1.99 0.000
H 0.57 -3.43 0.67 -0.004
H 1.91 -4.58 0.56 0.000
H 0.59 -4.67 -0.61 0.000
H -1.74 0.03 -4.22 0.000
H -2.49 -0.10 -2.63 0.001
H -3.15 -1.00 -4.00 0.000
H -0.32 -2.37 -5.48 0.000
H -1.55 -3.58 -5.10 0.000
H 0.10 -3.80 -4.53 0.000
H -2.81 -2.72 -1.41 0.000
H -1.34 -3.67 -1.16 -0.001
H -2.47 -4.11 -2.44 0.000
C -0.98 -0.86 0.70 -0.370
Ge -0.72 -1.14 2.61 -0.040
C -1.45 0.48 3.44 -0.016
C -2.74 0.87 3.09 -0.005
C -3.28 2.05 3.57 0.000
C -2.53 2.87 4.41 -0.001
C -1.24 2.49 4.77 -0.001
C -0.71 1.30 4.28 -0.003
C -1.74 -2.71 3.15 -0.001
C -2.04 -2.94 4.50 0.000
C -2.75 -4.06 4.89 0.000
C -3.17 -4.98 3.94 0.000
C -2.89 -4.77 2.59 0.000
C -2.18 -3.64 2.21 -0.003
C 1.15 -1.41 3.10 -0.001
C 1.58 -2.69 3.46 0.000
C 2.91 -2.92 3.81 0.000
C 3.82 -1.88 3.83 0.000
C 3.41 -0.60 3.47 0.000
C 2.09 -0.37 3.11 0.000
H -1.99 -1.11 0.35 -0.021
H -3.34 0.25 2.43 -0.001
H -4.29 2.34 3.29 0.000
H -2.95 3.80 4.78 0.000
H -0.65 3.13 5.41 0.000
H 0.30 1.02 4.58 0.000
H -1.72 -2.23 5.25 0.000
H -2.97 -4.22 5.93 0.000
H -3.73 -5.86 4.24 0.000
H -3.22 -5.48 1.85 0.000
H -1.97 -3.48 1.16 -0.002
H 0.88 -3.51 3.47 0.000
H 3.22 -3.92 4.09 0.000
H 4.85 -2.06 4.11 0.000
H 4.11 0.22 3.48 0.000
H 1.80 0.63 2.82 0.000
```



ORCA calculation (ωB97M-V/def2-TZVPD) on a structure of composition C35H45BrHgN4P2 at a distorted geometry.

Properties
Multiplicity: 1
Largest force on an atom (Eh/bohr): 0.060
Energy (eV): -135759.2683
Net charge: +2
=====

  • 【分类号】TH702
  • 【被引频次】4
  • 【下载频次】278

+++
Entry 1:
This record from OMol25 describes C8H18N2O9P2STc as an isolated structure. The level of theory is ωB97M-V/def2-TZVPD.

XYZ file:
```
41
Properties=species:S:1:pos:R:3:forces:R:3:mulliken_charge:R:1
Tc 0.0031 -0.1943 0.2109 0.019 -0.111 0.067 0.8413
C 2.1516 -3.9313 0.5843 0.007 -0.003 -0.009 -1.6313
C 1.5402 -3.0932 1.6994 -0.037 0.021 0.020 1.0457
O 1.6497 -3.6558 2.9893 0.014 0.001 0.007 -0.5504
P 2.3775 -1.4624 1.8769 0.038 0.018 -0.039 0.8184
O 3.9079 -1.5982 1.6579 -0.013 -0.003 0.003 -0.5142
O 2.2053 -0.9068 3.3161 -0.008 -0.006 0.000 -0.5084
O 1.8731 -0.5276 0.7654 -0.059 -0.011 0.027 -0.4557
P -0.1911 -2.5772 1.3800 0.002 -0.006 0.046 1.1076
O -1.0466 -3.7979 1.8033 0.008 -0.017 0.030 -0.5181
O -0.3664 -1.2575 2.1328 -0.005 0.051 0.003 -0.7592
O -0.3361 -2.1609 -0.1075 0.001 0.019 -0.058 -0.5748
H 3.1873 -4.1678 0.8232 -0.002 -0.002 0.004 0.4263
H 2.1141 -3.4110 -0.3728 -0.002 -0.003 0.000 0.3814
H 1.5931 -4.8635 0.4814 -0.002 0.000 0.000 0.5080
H 1.4389 -4.5994 2.9612 -0.001 -0.005 -0.005 0.3893
H 4.4674 -1.7522 2.4349 0.001 0.003 0.000 0.3858
H 1.2974 -0.9268 3.6658 0.005 -0.004 0.013 0.3852
H -2.0141 -3.7436 1.8261 -0.003 0.004 -0.016 0.4348
C -2.0996 2.9538 1.2696 -0.010 0.008 -0.017 -1.0919
C -1.2138 1.8398 0.8951 0.014 -0.026 0.044 1.2106
O 0.0334 1.9036 0.7456 0.034 -0.019 -0.031 -0.7824
O -1.6883 0.6388 0.6906 0.027 0.016 -0.069 -0.6789
H -1.5292 3.8663 1.4130 0.004 -0.004 0.001 0.3470
H -2.6302 2.6876 2.1854 -0.001 -0.006 0.000 0.3528
H -2.8520 3.0869 0.4900 -0.004 -0.001 0.007 0.3566
S 0.4097 0.0953 -1.9408 0.009 0.086 -0.031 -0.2364
C 1.4033 1.5148 -2.3752 -0.035 0.001 0.019 0.6550
N 1.8367 1.5213 -3.6177 0.010 0.002 -0.016 -0.1721
C 2.6490 2.6132 -4.1821 0.000 0.008 -0.010 -0.5890
C 2.3787 3.8874 -3.4019 -0.004 -0.015 0.005 -0.6124
C 2.5348 3.6268 -1.9136 0.005 0.004 0.000 -0.6015
N 1.7027 2.4720 -1.5318 -0.014 -0.001 0.008 0.0626
H 1.5857 0.7431 -4.2101 0.000 -0.002 0.004 0.2433
H 2.3739 2.7207 -5.2288 -0.002 -0.004 0.000 0.3820
H 3.7007 2.3278 -4.1322 0.000 0.001 0.002 0.3141
H 1.3698 4.2460 -3.6124 0.002 0.004 -0.002 0.3101
H 3.0771 4.6611 -3.7142 -0.001 0.002 -0.002 0.3625
H 2.2043 4.4782 -1.3233 -0.003 -0.006 0.006 0.3957
H 3.5722 3.4130 -1.6522 0.002 0.000 -0.003 0.3115
H 1.2918 2.4393 -0.6077 0.001 0.006 -0.006 0.2491
```
Forces are in eV/Å.

The calculation puts the gap between HOMO and LUMO (spin up / spin down) at 7.599 / 7.913 eV. Its spin multiplicity is 2. As for the expectation value of S²: 0.76. The calculation puts the energy above the lowest of the compared OMol25 structures with the same formula, charge and spin at 0.0 kJ/mol. The HOMO energy (spin up / spin down) comes out at -16.195 / -16.251 eV. As for the total charge: +2. The calculation puts the calculated total energy at -2263.75120 Ha.

Entry 2:
This record from OMol25 describes an isolated ion of composition C8H18N3 and charge +1 at a distorted geometry. The level of theory is ωB97M-V/def2-TZVPD.

XYZ file:
```
29
+++

